'''
36
Lattice="8.252 -5.570 0.000 8.252 5.570 0.000 -1.686 0.000 5.133" Properties=species:S:1:pos:R:3 comment="Dy2MoO6 PBE+U optimized geometry" volume_a3_per_atom=13.11 formation_energy_kj_per_mol_atoms=-308 rho_g_cm3=7.28 final_energy_ev_per_atom=-7.9038 pbc="T T T"
Dy 1.288 1.291 4.510
Dy 6.988 4.379 3.850
Dy 2.131 -1.291 1.943
Dy 7.831 1.515 1.283
Dy 6.988 -1.515 3.850
Dy 12.687 1.291 3.190
Dy 7.831 -4.379 1.283
Dy 13.530 -1.291 0.623
Mo 4.768 1.582 2.876
Mo 5.611 -1.582 0.310
Mo 9.207 1.582 4.824
Mo 10.050 -1.582 2.257
O 4.059 2.260 1.305
O 1.373 0.198 0.402
O 0.530 -0.198 2.968
O 6.354 2.946 2.142
O 5.045 2.466 4.471
O 3.276 0.594 3.268
O 9.308 2.946 0.424
O 4.119 -0.594 0.701
O 8.930 2.466 3.229
O 6.073 0.340 2.642
O 6.916 -0.340 0.075
O 3.216 -2.260 3.871
O 11.602 2.260 1.262
O 7.902 0.340 5.058
O 8.745 -0.340 2.492
O 5.889 -2.466 1.904
O 10.699 0.594 4.432
O 5.511 -2.946 4.709
O 11.542 -0.594 1.866
O 9.773 -2.466 0.662
O 8.465 -2.946 2.991
O 14.288 0.198 2.165
O 13.445 -0.198 4.732
O 10.759 -2.260 3.829

~~~~~

No. 1
First-principles (GGA-PBE) data for a geometry-optimized CrFe2Se4 structure, as listed in the Materials Project.

Results
For the total energy, the calculation gives -5.91 eV/atom. Its calculated formation energy is -36.5 kJ per mole of atoms. As for the energy above the most stable polymorph in this dataset: 182 meV per atom.

```
data_CrFe2Se4
_symmetry_space_group_name_H-M 'P 1'
_symmetry_Int_Tables_number 1
_symmetry_space_group_name_Hall 'P 1'
_cell_length_a 4.612
_cell_length_b 5.933
_cell_length_c 6.401
_cell_angle_alpha 114.99
_cell_angle_beta 110.44
_cell_angle_gamma 90.44
loop_
_atom_site_label
_atom_site_type_symbol
_atom_site_fract_x
_atom_site_fract_y
_atom_site_fract_z
_atom_site_occupancy
Cr1 Cr 0.000 0.000 0.000 1
Fe1 Fe 0.540 0.535 0.770 1
Fe2 Fe 0.761 0.471 0.201 1
Se1 Se 0.309 0.420 0.314 1
Se2 Se 0.526 0.146 0.788 1
Se3 Se 0.700 0.860 0.188 1
Se4 Se 0.983 0.585 0.668 1
```

No. 2
First-principles (GGA-PBE) data for a geometry-optimized CrFe2Se4 structure, as listed in the Materials Project.

Results
For the total energy, the calculation gives -6.09 eV/atom. Its calculated formation energy is -54.1 kJ per mole of atoms. As for the energy above the most stable polymorph in this dataset: 0 meV per atom.

```
data_CrFe2Se4
_symmetry_space_group_name_H-M 'P 1'
_symmetry_Int_Tables_number 1
_symmetry_space_group_name_Hall 'P 1'
_cell_length_a 12.809
_cell_length_b 3.527
_cell_length_c 6.194
_cell_angle_alpha 90.00
_cell_angle_beta 116.97
_cell_angle_gamma 90.00
loop_
_atom_site_label
_atom_site_type_symbol
_atom_site_fract_x
_atom_site_fract_y
_atom_site_fract_z
_atom_site_occupancy
Cr1 Cr 0.000 0.000 0.000 1
Cr2 Cr 0.500 0.500 0.000 1
Fe1 Fe 0.244 0.500 0.693 1
Fe2 Fe 0.256 0.000 0.307 1
Fe3 Fe 0.744 0.000 0.693 1
Fe4 Fe 0.756 0.500 0.307 1
Se1 Se 0.113 0.000 0.457 1
Se2 Se 0.140 0.500 0.981 1
Se3 Se 0.360 0.000 0.019 1
Se4 Se 0.387 0.500 0.543 1
Se5 Se 0.613 0.500 0.457 1
Se6 Se 0.640 0.000 0.981 1
Se7 Se 0.860 0.500 0.019 1
Se8 Se 0.887 0.000 0.543 1
```

No. 3
First-principles (GGA-PBE) data for a geometry-optimized CrFe2Se4 structure, as listed in the Materials Project.

Results
For the total energy, the calculation gives -6.08 eV/atom. Its calculated formation energy is -53.6 kJ per mole of atoms. As for the energy above the most stable polymorph in this dataset: 5 meV per atom.

```
data_CrFe2Se4
_symmetry_space_group_name_H-M 'P 1'
_symmetry_Int_Tables_number 1
_symmetry_space_group_name_Hall 'P 1'
_cell_length_a 12.724
_cell_length_b 3.544
_cell_length_c 6.263
_cell_angle_alpha 90.00
_cell_angle_beta 118.65
_cell_angle_gamma 90.00
loop_
_atom_site_label
_atom_site_type_symbol
_atom_site_fract_x
_atom_site_fract_y
_atom_site_fract_z
_atom_site_occupancy
Cr1 Cr 0.000 0.000 0.000 1
Cr2 Cr 0.500 0.500 0.000 1
Fe1 Fe 0.240 0.500 0.716 1
Fe2 Fe 0.485 0.000 0.422 1
Fe3 Fe 0.740 0.000 0.716 1
Fe4 Fe 0.985 0.500 0.422 1
Se1 Se 0.108 0.000 0.738 1
Se2 Se 0.130 0.500 0.268 1
'''

Print the lines earlier on from the line with "_cell_length_c 6.401" to the end word for word.

_cell_length_c 6.401
_cell_angle_alpha 114.99
_cell_angle_beta 110.44
_cell_angle_gamma 90.44
loop_
_atom_site_label
_atom_site_type_symbol
_atom_site_fract_x
_atom_site_fract_y
_atom_site_fract_z
_atom_site_occupancy
Cr1 Cr 0.000 0.000 0.000 1
Fe1 Fe 0.540 0.535 0.770 1
Fe2 Fe 0.761 0.471 0.201 1
Se1 Se 0.309 0.420 0.314 1
Se2 Se 0.526 0.146 0.788 1
Se3 Se 0.700 0.860 0.188 1
Se4 Se 0.983 0.585 0.668 1
```

No. 2
First-principles (GGA-PBE) data for a geometry-optimized CrFe2Se4 structure, as listed in the Materials Project.

Results
For the total energy, the calculation gives -6.09 eV/atom. Its calculated formation energy is -54.1 kJ per mole of atoms. As for the energy above the most stable polymorph in this dataset: 0 meV per atom.

```
data_CrFe2Se4
_symmetry_space_group_name_H-M 'P 1'
_symmetry_Int_Tables_number 1
_symmetry_space_group_name_Hall 'P 1'
_cell_length_a 12.809
_cell_length_b 3.527
_cell_length_c 6.194
_cell_angle_alpha 90.00
_cell_angle_beta 116.97
_cell_angle_gamma 90.00
loop_
_atom_site_label
_atom_site_type_symbol
_atom_site_fract_x
_atom_site_fract_y
_atom_site_fract_z
_atom_site_occupancy
Cr1 Cr 0.000 0.000 0.000 1
Cr2 Cr 0.500 0.500 0.000 1
Fe1 Fe 0.244 0.500 0.693 1
Fe2 Fe 0.256 0.000 0.307 1
Fe3 Fe 0.744 0.000 0.693 1
Fe4 Fe 0.756 0.500 0.307 1
Se1 Se 0.113 0.000 0.457 1
Se2 Se 0.140 0.500 0.981 1
Se3 Se 0.360 0.000 0.019 1
Se4 Se 0.387 0.500 0.543 1
Se5 Se 0.613 0.500 0.457 1
Se6 Se 0.640 0.000 0.981 1
Se7 Se 0.860 0.500 0.019 1
Se8 Se 0.887 0.000 0.543 1
```

No. 3
First-principles (GGA-PBE) data for a geometry-optimized CrFe2Se4 structure, as listed in the Materials Project.

Results
For the total energy, the calculation gives -6.08 eV/atom. Its calculated formation energy is -53.6 kJ per mole of atoms. As for the energy above the most stable polymorph in this dataset: 5 meV per atom.

```
data_CrFe2Se4
_symmetry_space_group_name_H-M 'P 1'
_symmetry_Int_Tables_number 1
_symmetry_space_group_name_Hall 'P 1'
_cell_length_a 12.724
_cell_length_b 3.544
_cell_length_c 6.263
_cell_angle_alpha 90.00
_cell_angle_beta 118.65
_cell_angle_gamma 90.00
loop_
_atom_site_label
_atom_site_type_symbol
_atom_site_fract_x
_atom_site_fract_y
_atom_site_fract_z
_atom_site_occupancy
Cr1 Cr 0.000 0.000 0.000 1
Cr2 Cr 0.500 0.500 0.000 1
Fe1 Fe 0.240 0.500 0.716 1
Fe2 Fe 0.485 0.000 0.422 1
Fe3 Fe 0.740 0.000 0.716 1
Fe4 Fe 0.985 0.500 0.422 1
Se1 Se 0.108 0.000 0.738 1
Se2 Se 0.130 0.500 0.268 1